Baby Deuce grows up

This is my riding journal. It is meant to help document the
training of my young horse Deuce. I'm teaching him all about dressage,
but he teaches me so much too!

Wednesday, April 28, 2010

First bi

Deuce went to his first show on the 17th! he was pretty distracted and excited thursday and friday, but steph helped me at the show. i had to keep his mind on the work so he wouldn't pay so much attention to the surrounding commotion. he did okay on his first day. he got a decent 57.7 at first level 2 and a 61 at training level. i really had to ride him because he was being kind of fidgety and opinionated. on sunday i took him out in the pouring rain. he was super fussy in the warmup and was kind of being a jerk. he was tired, didnt want to work, and was ready to go home. i took him into the arena but as i passed the judges trailer he spooked and bucked me off. he bolted and left me in the dust!
First i was pretty upset and sad and just thought maybe he's too young to show.

Tuesday, March 16, 2010

=====
The following is a GGA-PBE calculation of crystalline Na2ThS3O18 at its relaxed geometry, from the Materials Project.

Computed properties:
M_tot   0.33 μB/atom

Lattice parameters (Å, degrees): 5.396 17.382 17.059 90.00 89.44 90.00
Fractional positions:
S: 0.321 0.067 0.796
O: 0.481 0.154 0.198
O: 0.250 0.294 0.020
S: 0.679 0.567 0.704
O: 0.904 0.218 0.839
O: 0.432 0.977 0.217
O: 0.651 0.350 0.964
O: 0.568 0.477 0.283
O: 0.519 0.846 0.802
Na: 0.501 0.791 0.057
S: 0.321 0.433 0.296
O: 0.584 0.590 0.138
O: 0.227 0.526 0.836
O: 0.349 0.650 0.036
O: 0.704 0.489 0.937
Na: 0.474 0.385 0.105
O: 0.296 0.989 0.563
O: 0.729 0.614 0.772
O: 0.922 0.162 0.169
O: 0.328 0.779 0.331
Na: 0.499 0.291 0.443
O: 0.096 0.718 0.661
O: 0.704 0.011 0.437
O: 0.416 0.090 0.362
O: 0.904 0.282 0.339
O: 0.766 0.991 0.945
Na: 0.474 0.115 0.605
O: 0.922 0.338 0.669
O: 0.432 0.523 0.717
S: 0.673 0.302 0.648
O: 0.349 0.850 0.536
O: 0.896 0.751 0.669
O: 0.181 0.560 0.548
O: 0.078 0.838 0.831
O: 0.227 0.974 0.336
O: 0.250 0.206 0.520
O: 0.342 0.391 0.370
O: 0.104 0.251 0.831
O: 0.819 0.440 0.452
O: 0.096 0.782 0.161
Na: 0.526 0.615 0.895
Th: 0.161 0.420 0.748
O: 0.342 0.109 0.870
O: 0.672 0.221 0.669
Th: 0.839 0.920 0.752
O: 0.622 0.182 0.065
Na: 0.501 0.709 0.557
O: 0.234 0.009 0.055
O: 0.378 0.818 0.935
O: 0.672 0.279 0.169
O: 0.568 0.023 0.783
O: 0.296 0.511 0.063
O: 0.378 0.682 0.435
O: 0.658 0.609 0.630
S: 0.679 0.933 0.204
O: 0.896 0.749 0.169
O: 0.766 0.509 0.445
O: 0.773 0.474 0.164
O: 0.819 0.060 0.952
O: 0.271 0.386 0.228
O: 0.872 0.996 0.195
O: 0.750 0.794 0.480
O: 0.416 0.410 0.862
O: 0.584 0.910 0.638
O: 0.729 0.886 0.272
S: 0.337 0.587 0.095
O: 0.658 0.891 0.130
O: 0.140 0.606 0.155
Th: 0.839 0.580 0.252
S: 0.327 0.698 0.352
O: 0.104 0.249 0.331
O: 0.128 0.496 0.305
Th: 0.161 0.080 0.248
O: 0.078 0.662 0.331
O: 0.651 0.150 0.464
S: 0.673 0.198 0.148
O: 0.519 0.654 0.302
O: 0.622 0.318 0.565
S: 0.337 0.913 0.595
Na: 0.499 0.209 0.943
O: 0.328 0.721 0.831
O: 0.271 0.114 0.728
O: 0.140 0.894 0.655
O: 0.872 0.504 0.695
S: 0.663 0.413 0.905
Na: 0.526 0.885 0.395
O: 0.128 0.004 0.805
O: 0.860 0.394 0.845
O: 0.181 0.940 0.048
O: 0.750 0.706 0.980
S: 0.663 0.087 0.405
O: 0.234 0.491 0.555
O: 0.481 0.346 0.698
S: 0.327 0.802 0.852
O: 0.773 0.026 0.664
O: 0.860 0.106 0.345

---

The following is a GGA-PBE calculation of crystalline NaTmS2O8 at its relaxed geometry, from the Materials Project.

Computed properties:
M_tot   0.00 μB/atom

Lattice parameters (Å, degrees): 6.850 4.759 9.897 82.78 90.00 90.00
Fractional positions:
O: 0.750 0.660 0.544
O: 0.421 0.176 0.671
O: 0.250 0.340 0.456
S: 0.750 0.649 0.929
S: 0.250 0.351 0.071
O: 0.250 0.631 0.638
Tm: 0.250 0.854 0.825
O: 0.425 0.240 0.148
O: 0.750 0.737 0.070
O: 0.250 0.263 0.930
O: 0.075 0.240 0.148
O: 0.575 0.760 0.852
Na: 0.250 0.884 0.363
O: 0.579 0.824 0.329
O: 0.250 0.666 0.052
Tm: 0.750 0.146 0.175
O: 0.750 0.369 0.362
O: 0.079 0.176 0.671
O: 0.925 0.760 0.852
O: 0.921 0.824 0.329
O: 0.750 0.334 0.948
=====
## So much for the records of crystals

Miracle horse

Deuce had an accident two weekends ago. He got super excited when I let him out in the paddock and he tried to jump over the fence. He didn't make it, got his feet tangled and flipped over the fence landing on his back on the other side. Amazingly, I had the vet check him out and vet said he was totally fine, just a little sore. I may need to have a chiropracter out though because even now he's still a little stiff on the right hind. Otherwise, everything is fine. I really think it's a miracle he's totally fine because I saw the flip and it looked horrible.

Hopefully everything will be straightened out by our horse show on April 16th.

Sunday, February 21, 2010

We're Back!

I know it's been so long since I've written, but after Christmas break I never got back into the routine of updating this. I've been super busy and have riding lots of different horses and have been going pretty easy on Deuce because of it.

Also, Deuce and I have kind of been in a slump because of the weather and my not paying as much attention to him. I need to do some different excercises with him as I think he is getting bored and not showing off his brilliance. We are getting better now and are planning to go to a show on April 16-18. This will be his first recognized show so we'll see how it goes! I haven't decided yet was tests we will sign up for but I need to get him back up to good regular work and training before I decide. The closing date is not until March 22nd.

Tuesday, January 5, 2010

********
No. 1
Compound: Li2Cu2F5
Source: the Materials Project
Functional: PBE
Structure: relaxed

```
data_Li2Cu2F5
_chemical_formula_sum 'Li8 Cu8 F20'
_cell_length_a 10.798
_cell_length_b 3.035
_cell_length_c 12.208
_cell_angle_alpha 90.00
_cell_angle_beta 90.00
_cell_angle_gamma 90.00
_symmetry_space_group_name_H-M 'P n a 21'
_symmetry_Int_Tables_number 33
loop_
_symmetry_equiv_pos_as_xyz
'x,y,z'
'-x,-y,z+1/2'
'-x+1/2,y+1/2,z+1/2'
'x+1/2,-y+1/2,z'
loop_
_atom_site_label
_atom_site_type_symbol
_atom_site_fract_x
_atom_site_fract_y
_atom_site_fract_z
Li1 Li 0.035 0.221 0.000
Li2 Li 0.216 0.219 0.648
Cu1 Cu 0.004 0.296 0.263
Cu2 Cu 0.244 0.186 0.385
F1 F 0.062 0.285 0.419
F2 F 0.083 0.739 0.624
F3 F 0.126 0.235 0.824
F4 F 0.168 0.713 0.024
F5 F 0.186 0.206 0.228
```

Results
* calculated formation energy: -2.265 eV per atom
* uncorrected energy: -158.6 eV for the cell shown

***

No. 2
Compound: In2H6C5O11
Source: the Materials Project
Functional: PBE
Structure: relaxed

```
data_In2H6C5O11
_chemical_formula_sum 'In8 H24 C20 O44'
_cell_length_a 8.747
_cell_length_b 11.138
_cell_length_c 13.598
_cell_angle_alpha 90.00
_cell_angle_beta 113.52
_cell_angle_gamma 90.00
_symmetry_space_group_name_H-M 'P 1 21/c 1'
_symmetry_Int_Tables_number 14
loop_
_symmetry_equiv_pos_as_xyz
'x,y,z'
'-x,-y,-z'
'-x,y+1/2,-z+1/2'
'x,-y+1/2,z+1/2'
loop_
_atom_site_label
_atom_site_type_symbol
_atom_site_fract_x
_atom_site_fract_y
_atom_site_fract_z
In1 In 0.072 0.234 0.332
In2 In 0.341 0.613 0.213
H1 H 0.051 0.508 0.193
H2 H 0.129 0.094 0.545
H3 H 0.155 0.616 0.482
H4 H 0.266 0.077 0.132
H5 H 0.335 0.607 0.913
H6 H 0.450 0.153 0.941
C1 C 0.148 0.678 0.544
C2 C 0.251 0.088 0.538
C3 C 0.269 0.128 0.203
C4 C 0.271 0.674 0.850
C5 C 0.377 0.093 0.874
O1 O 0.014 0.669 0.560
O2 O 0.078 0.581 0.162
O3 O 0.114 0.664 0.802
O4 O 0.128 0.145 0.207
O5 O 0.221 0.109 0.825
O6 O 0.271 0.747 0.588
O7 O 0.275 0.149 0.466
O8 O 0.362 0.019 0.601
O9 O 0.365 0.750 0.333
O10 O 0.407 0.164 0.272
O11 O 0.457 0.011 0.851
```

Results
* calculated formation energy: -1.354 eV per atom
* uncorrected energy: -605.5 eV for the cell shown

***

No. 3
Compound: Ce2Ni22C3
Source: the Materials Project
Functional: PBE
Structure: relaxed

```
data_Ce2Ni22C3
_chemical_formula_sum 'Ce16 Ni176 C24'
_cell_length_a 11.335
_cell_length_b 14.918
_cell_length_c 14.591
_cell_angle_alpha 90.00
_cell_angle_beta 90.00
_cell_angle_gamma 90.00
_symmetry_space_group_name_H-M 'C m c e'
_symmetry_Int_Tables_number 64
_symmetry_space_group_name_Hall '-C 2ac 2'
loop_
_atom_site_label
_atom_site_type_symbol
_atom_site_fract_x
_atom_site_fract_y
_atom_site_fract_z
Ce1 Ce 0.000 0.209 0.027
Ce2 Ce 0.250 0.063 0.750
Ni1 Ni 0.000 0.000 0.000
Ni2 Ni 0.000 0.000 0.500
Ni3 Ni 0.000 0.003 0.325
Ni4 Ni 0.000 0.059 0.842
Ni5 Ni 0.000 0.146 0.415
Ni6 Ni 0.000 0.158 0.712
Ni7 Ni 0.000 0.181 0.232
Ni8 Ni 0.108 0.212 0.844
Ni9 Ni 0.111 0.120 0.578
Ni10 Ni 0.127 0.078 0.129
Ni11 Ni 0.169 0.123 0.298
Ni12 Ni 0.175 0.077 0.950
********
## End of the data records

Videos....what do you think?

still not great because I get nervous when I finally get someone to take video. I want everything to show up in the video and I end up not being able to focus on riding!

Monday, January 4, 2010

Floating trot :)

Yesterday our trot work was great! I've been riding him long and low so I decided to have Deuce go more into the bridle yesterday. I felt him using his back in the trot more than i ever have...and his stride lengthenings felt like he was floating! It was really fun to ride.

We worked on canter trot canter transitions again. Tons of them. I think he's over his tantrum now so that's good. I don't expect him to be completely on the bit when he goes from trot to canter. But he definately cannot throw his head up and use his neck to go into the canter. He's finally learning this I think. I need to be careful with my position when I ask for the canter too so I make sure I'm not leaning to one side.

I found that it's better to ask for canter departs on the rail when he is going track left, and on a circle when he
is going track right. He tends to over bend to the left so I think that's why. I also need to be sure to always have weight in my right stirrup. I don't want Deuce to grow up crooked! :)

Saturday, January 2, 2010

...I guess he is only 4...

I've just been riding Deuce long and low the past couple days. I went over a little tiny cross rail yesterday and just played around in the arena. I was goin to do more serious stuff today but Deuce had a different idea. I didn't have a whip and I didn't have spurs, so Deuce just decided not to listen. Trotting slow and sluggish was about all he wanted to do no matter what. At first I borrowed a crop from my friend (that was all she had - no dressage whip) That sort of worked but I had to keep transferring my reins to one hand to be able to use it. I got him going in a nicer trot and did some canter work but couldn't get a nice transition on the right lead. Finally I borrowed a dressage whip and things went better. I just did tons of trot canter transitions and left it at that. That's not what I originally had planned but I think Deuce learned he has to be more attentive. Tommorow I think I'll do some walk/trot lateral work.